January 24, 1950
Hon. Henry B. HaPdt, President
Board of ExamInePa in the
Basio Soienoes
Austin, Texas opinion BO. v-988.
Be: Several qll8stions Pe-
gardlng apparent OOQ-
Riots between the
Basic Science Law and
statutes respeoting
other licensing agen-
Dear 31~: 018s.
YOUF Pequest fop an opinion Felating to possi-
ble conflicts in House Bills 103, 915 and 721, Aots of
the 51st LegislatnPe, 1949, contains 83.x questions as
'1. ThePe appeaPs to be a oonfliot be-
tween aeotion 16 of H. B. 915 and Section 10
of H. B. 721, in that the dates for the ex-
emption of praotioing ohlPopraotoPs aPe not
the same. Do these tvo dates refer to exact-
ly the same,thing? Uho among the ahiPopPao-
tops mnst obtain a Basio Soienoe Ceatlfioate
to beoome eligible fop a license to praotlce?
The int8rpretatlon of the BAsio Sciewe Board
has been certain chiPopraotoPs practicing In
Texas before ApFil 28, 1948, aPe exempt from
the Basic Soienoe Examinations; that those
who began pPaotio8 between April 28, 1948,
and spill 18, 1949, aPe required to obtain a
Basic Sclenoe CePtifloate, bout in accord with
H. B. 721 aP8 exempt frcm tha Chiropractic
Board Bxamination; that those who began prao-
tioe since A~PI~ 1.8, 1949, aPe subject to
both the Basic Soleace Law and the Chiroprao-
tie Law.
“2. These appeaPs to be another conflict
between Section 16 of H. B. 915 and the last
paragraph of Qeotion 10, B. B. 721. Certain
.students aFe exempted from examinations by
Eon. Henry B. Halldt, page 2 (v-988)
B. B. 721, while H. B. 915 does not exempt
the Same Students. We need to know what law
“3. If JOUP ruling in the above ques-
tion approves the exemption of certain stn-
dents in chiropractic sohools, then does the
Basic Soi8no8 Board still have the authority
to P8qUiP8 SimilaP students in other healing
arts schools to obtain certifioates?
"4. There appears to b8 a oonfliot
between H.B. 103 and the M8dioal Praotioe
Act of 1939. Th8 aot of 1939 P8qUiP8S of a
Stud8nt UQtil 1942, I believe, Only a high
school education before going to medical
school. Section 25 of H.B. 103 states that
pP8ViOUS 1108nSitlg 1aWS sl'8not repealed,
and yet no provision is mad8 for issuing
Basic Soienae C8rtifioat8s to doctors who
obtained lio8ns8s before 1942 without ool-
leg8 0 OUl’S8S. 'PO Oft8 a Sp8CifiO 0888, Dr.
Marvin T. McDonald was graduated from Kan-
sas City gOll8g8 Of Ost8opathy and gUPg8Z'y
in 1937, received D. 0. 11~8ns8~ by 8Xamina-
tions in Missouri and by R8OiproCity in Kan-
sas and Oklahoma. H8 applied to the T8XaS
Medical Board for examination in February
1949, took the examination in JUn8, 1949, and
was then informed by the Medical Board that
h8 must obtain a Basic Science Certifioate.
K8 then applied to the Basic SOi8nC8 Board
and was not permitted to take the 8XaIUins-
tion b8oaUS8 he did not have the P8qUir8d
College credits. It is the thought of the
Basic Scisnc8 Board that if the law p8rmits,
all persons who had received licenses prior
to 1942 should be permitted to obtain a
Basic DCi8nO8 CertifiOat8 P8gardl8SS Of the
i3lPOUllt Of 00118g8 Credit.
"5. If your office rUl8S that the above
described dootors should be pePslitted to ob-
taln 08rtifiCst8S, then are they 8X8mpt8d from
the examinations by the 1939 g8diOal Praotioe
Aet, or must they take the 8xaminations to get
08PtifiCat88? The Board believes that if they
aPs not required to have credit in the COUPS8S
it would be b8tt8P not to require that they
-- Calculated crystals from another source follow --
=====
A relaxed structure of CeGaSi. Source: the Alexandria database, functional PBEsol.

Total energy ... -5.87 eV per atom

abc: 4.122 4.122 14.234
angles: 90.00 90.00 90.00
Sites, in units of the cell vectors:
Ce  0.000  0.000  0.000
Ce  0.000  0.500  0.250
Ce  0.500  0.000  0.750
Ce  0.500  0.500  0.500
Ga  0.000  0.000  0.583
Ga  0.000  0.500  0.833
Ga  0.500  0.000  0.333
Ga  0.500  0.500  0.083
Si  0.000  0.000  0.417
Si  0.000  0.500  0.667
Si  0.500  0.000  0.167
Si  0.500  0.500  0.917

***

A relaxed structure of CeZnGa. Source: the Alexandria database, functional PBEsol.

ΔH_f (0 K) ... -0.422 eV per atom

abc: 4.457 4.457 6.993
angles: 90.00 90.00 120.00
Sites, in units of the cell vectors:
Ce  0.000  0.000  0.000
Ce  0.000  0.000  0.500
Zn  0.333  0.667  0.250
Zn  0.667  0.333  0.750
Ga  0.333  0.667  0.750
Ga  0.667  0.333  0.250

***

A relaxed structure of CeZn2Ga2. Source: the Alexandria database, functional PBEsol.

ΔH_f (0 K) ... -0.412 eV per atom

abc: 4.205 4.205 10.259
angles: 90.00 90.00 90.00
Sites, in units of the cell vectors:
Ce  0.000  0.000  0.000
Ce  0.500  0.500  0.500
Zn  0.000  0.000  0.385
Zn  0.000  0.000  0.615
Zn  0.500  0.500  0.115
Zn  0.500  0.500  0.885
Ga  0.000  0.500  0.250
Ga  0.000  0.500  0.750
Ga  0.500  0.000  0.250
Ga  0.500  0.000  0.750

***

A relaxed structure of CeGd3. Source: the Alexandria database, functional PBEsol.

ΔH_f (0 K) ... 0.105 eV per atom

abc: 4.886 4.886 4.886
angles: 90.00 90.00 90.00
Sites, in units of the cell vectors:
Ce  0.000  0.000  0.000
Gd  0.000  0.500  0.500
Gd  0.500  0.000  0.500
Gd  0.500  0.500  0.000

***

A relaxed structure of Ce3Gd. Source: the Alexandria database, functional PBEsol.

ΔH_f (0 K) ... 0.113 eV per atom

abc: 4.678 4.678 4.678
angles: 90.00 90.00 90.00
Sites, in units of the cell vectors:
Ce  0.000  0.000  0.500
Ce  0.000  0.500  0.000
Ce  0.500  0.000  0.000
Gd  0.500  0.500  0.500

***

A relaxed structure of CeGe. Source: the Alexandria database, functional PBEsol.

ΔH_f (0 K) ... -0.677 eV per atom

abc: 8.132 3.983 5.791
angles: 90.00 90.00 90.00
Sites, in units of the cell vectors:
Ce  0.185  0.250  0.121
Ce  0.315  0.750  0.621
Ce  0.685  0.250  0.379
Ce  0.815  0.750  0.879
Ge  0.037  0.250  0.641
Ge  0.463  0.750  0.141
Ge  0.537  0.250  0.859
Ge  0.963  0.750  0.359

***

A relaxed structure of CeGe2Ir2. Source: the Alexandria database, functional PBEsol.

ΔH_f (0 K) ... -0.771 eV per atom

abc: 4.196 4.196 10.075
angles: 90.00 90.00 90.00
Sites, in units of the cell vectors:
Ce  0.250  0.250  0.245
Ce  0.750  0.750  0.755
Ge  0.250  0.250  0.632
Ge  0.250  0.750  0.000
Ge  0.750  0.250  0.000
Ge  0.750  0.750  0.368
Ir  0.250  0.250  0.871
Ir  0.250  0.750  0.500
Ir  0.750  0.250  0.500
Ir  0.750  0.750  0.129

***

A relaxed structure of CeGeIr. Source: the Alexandria database, functional PBEsol.

ΔH_f (0 K) ... -0.861 eV per atom

abc: 6.899 4.346 7.580
angles: 90.00 90.00 90.00
Sites, in units of the cell vectors:
=====
take the 8XamfnatiOnS.
Hon. Henry B. Rardt, page 3 (v-988)
“fi- Your office has rendeP8d the opinion
w95j; that H. B. 103 does contain a valid
appropPiation for a period of two years begin-
ning April 28, 1949, and ending April 27, 1951.
To have continuous operational funds, will it
be necessary to obtain a supplementa& appro-
priation for the latt8P part of the two y8aP
period cov8Ped in the normal biennium of Sep-
t8mb8P 1, 1949--August 31, 1951? YOUP COUnS81
on this matter will be greatly eppP8Ciat8d."
Section 10 of HOUs Bill 721, Acts slat Leg.,
R.S. 1949, ah.94, p.160, ~8ads in part as follows:
"PPovided, hoWevBP, that those who aP8
regularly engaged la the praotioe of ohiro-
practlo in this State on April 18, 1949, and
who haV8 aompleted a resident oourse and hold
diplomas fPom sohools Peoognized by the Board
as being regularly oPganiz8d and conducted as
ohiropractlo sohoola at the t'Lm of the issu-
ance of suoh diplomas, shall be lioensed under
this Aot, provided they apply therefor within
Six (6) months aft8P the 8~ff8CtiVe date of
thls..Aat, and provided furth8P that they shall
meet the provisions of this Act with r8ferenoe
to eiijiz8QShip, age and good moral oharacter;
. . .
Section 16 of Rouse Bill 103, Acts 51st Leg.,
B.S. 1949, ch.95, p.170, reads in paPt as follows:
. . . noP shall the Blaic Soietme Law any Chiropractor who is a gPaduate
of a sohool which was regularly organized and
oonduoted as a ohiropraotic school in the
United States at the tiEI of such graduation
and who has praotioed ChlPopractio one (1)
year immediately preoeding the 8ffeotive date
of this Act and who has r8sided in Texas for
two (2) y8aPs imtz8diat8lY pP8oeding the 8f-
fective date of this Aot end who has never had
a lioense to pPactlo8 any branch of the heal-
ing art cancelled by an American or Canadian
State, P~oviwe or Territory, provided, how-
ever, that licenses voided~ by virtue of the
decision in Rx ParCe Halsted, 182 S.Y. (2nd)
479, shall not b8 construed as lio8ns8s can-
Celled as provided by this Section."
Hon. lI81~y B. RaPdt, page 4 (V-988)
House Bill 915, Acts 51st Leg., R.S. 1949, ch.
287, p. 522, is an Act amending sections 8, 16, and 18
of HOUS8 Bill 103 and adding a new section, numbered 23a.
It only affected Section 16 iWofaP as it P81ates to a
member of a religious faith mlnlst8ring the last rites
of his faith and mlnist8rinn or offerlnu to minister to
sick OP suffering by prayer and did-not in any man-
affect the prob18m under consideration.
The effective dot8 of House Bill 721 was April
1949. The 8ff8CtiV8 date Of House Bill 103 Was April
1949. The 8ff8ctive date of Hous Bill 915 was OCtO-
5, 1949.
Upon the_effeCtfVe dot8
__ Of
..RoW8 Bill.. 721 611
- _.
ohiropraotors regularly engaged In the practloe of chlro-
praotio in this State on April 18, 1949, and who had com-
pleted a resident cou~s8 and held diplomas from schools
recognlsed by the Board as proper ohlropraotio schools
at the time of the issuance of such diplomas, wer8 en-
titled to be licensed as chiropractors under the exemp-
tion contained in Section 10 of H.B. 721. Likewise under
the provisions of 88CtfOn 1.6 of B.B. 103 all ohiroprac-
tars who were graduates of regularly organized chiro-
practic schools, with one year’s practice immediately
preceding April 28, 1949, the 8ff8CtlV8 date of the Act,
and who had resided in this State fop two years immedi-
ately prior to such date, are 8X8mpt from the provisions
of the Act requiring a certifioate of proficiency lQ the
basic sciences. It iS appaPeQt, theP8fOP8, that al1
chiropractors not coming within the exceptions must b8
examined in the basic soiences and for a chiropractic
license. This is true beoOu88 the illttntion of the Leg-
islature is clear that the statute should apply in a11
cases not excepted. Accord, Federa: r?850i1 00. v.
Yount-Lee Oil Co., 122 Tax, 21, 52 . .2 6 (1932).
From the above it follows that a chiropractor
b8giQQitIg practice after April 18, 1949, must obtain a
certificate of profiolencg in the basic sciences as well
as a license to praotloe chiropractic pursuant to R.B.
103 and H.B. '721. A chiropractor beginning practice af-
ter April 28, 1948, and prior to Ap~ll 1.8, 1949, must
obtain a certificate of proficiencg in the basic scleI1ces,
Inasmuch as he would not have a year's practice within
the meaning of 88OtiOn 1.6, H.B. 103, as amended. Th8
provisions of B.B. 721 would exempt suoh chiropractor
from an examination for a license to praotioe chiroprac-
Hon. Henry B. Hardt, page 5 (v-988)
In your second question you atate th8P8 appears
to be a conflict b8tW88Q Section 16 of House Bill 915 and
the last paragraph of Section 10 of House Bill 721. Th8
last papagraph of Section 10, H.B. 721 is as follows:
"Provided that those who have begun the
study Of ohiPopPaotlc pPi0r to the 8ff8ctiv8
date of this Act In institutions regularly or-
ganized and oonduoted as chlPopractio sohools
shall b8 llo8w8d under this Act, provided
they complete a standard chiropractic resident
00urs8 of one hundred and twenty (120) semea-
tep hours in such school or schools and re-
celve diplomas therefrom; and provided fUPth8P
that they shall meet the provisions of this
Act with reference to Oitls8nshlp, age, and
good moral oharaoter."
Seotion 16 of House Bill 103 as amended by H.B.
915 r8lating to exemptions dO8S not contain any exemption
as to students Studying chiropractic in institutions me-
gularlg organixed and oonducted as ahiropraotic sohools.
The only provision exempting students of this category
from obtaining a certificate of pPofiol8ncy in the Basic
SC~~KLC~S IS found in 88otiOn 236, H.B. 915, which P8lOt8S
to thOS8 graduates of schools of the healing arts who
have enrolled under the G. I. Bill of Rights for at least
one year prior to the date this Aot becomes a law. This
beillg true, it Is Our OpiniOQ that those persons engaged
in the study of ohiropraotic pPiOP to the effective dot8
of House Bill 721 would be exempt from examination for
ohiropraotio 1108ns8, but would not b8 exempted from the
p~ovlsions of Rouse Bill 103, as amended by H.B. 915,
which PeqUiP8S 611 persons QOt 8X8U#pt8d t0 obtain a car-
tiflc6t8 of pPofiol8nCy in the Basio 8eieW8s. w8 th8r8-
fore oonclude that all students inchlropraotlo schools
on the effective date of H.B. 721 except those 8X8mptbd
under Seotlon 23s of H.B. 915, must obtain oertifioat8s
of proficiency IQ the Basic 8aieM8s iQ tXX?iplk3no8 with
H.B. 103 befOP pP6OtiClng ohiropractlo.
Passing to your third question it is our opln-
ion that all students not coming UndeP Section 2% of
Hot&?18 Blll 915 should b8 required to obtain certifloates
of pPoTlOi8nGy in the Basle Sci8W8~ before FeCeiving a
license OP taking an 8XamlnatloQ for a liC0nS8 t0 prac-
tie8 the healing SPtS.
The answer to your fourth qUestion P8qUiP8S a
Hon. Henry B. Hardt, pSg8 6 (V-988)
det8lQlQatioQ of the 8ff8Ct Of H.B. 103 (Basic 3OietICe
I$vi;pon the Medic61 Praotice Act of 1939 (Arts. 4300
0, V.C.S.).
Seotion 7 of House Bill 103 is as follows:
"sec. 7. No certificate shall be issued
by the Board Unless the person applying for it
submits evidenoe, satisfactory to the Board,
1 that he is 6 citizen of the United States;
I 1 that h8 is not 18SS than niQ8t88Q (19)
years of age; (3) that he Is a PePson of good
moral oharaoter; (4) that he was graduated by
a high sohool accredited by the Qtate Commlt-
tee on ClEtssifl8d and Accredited Schools, OF a
school of equal grade, or that h8 possesses
eduoatlonal qua1ificatlons equivalent to those
PequiPed for raduatlon by such an 6ccPedlted
high school; 'f5) h8 must have completed sixty
(60) S8m8St8P hours of 00118g8 OOUrs8S whioh
would be acceptable Ot the tlm8 of OOmpl8tiILg
Sam8 at The University of Texas on a Bachelor
of Arts Degree or a Baohelor of Science Degree;
and (6) that he has a comprehensive knowledge
of the basic sciences aa shown by his passing
the examination given by the Board as by this
Act required. This shall not be construed to
pP8V8nt the iSSll8 Of 08PtifiOat8S Under the
provisions o$ Section 8 of this Act."
Section 8 of House Bill 103, sup~a, as amend-
ed by H.B. 913, supra, is as follows:
"380. 8. The Board shall waive the
examlnatlon required by Seotion 7, When
proof satisfactory to the Board is submit-
ted, showing (1) that the applloant has pass-
8d In another State, Territory, OP Distriot
of Columbia, an examination In the basic
sCi8QI38S befOP 6 board Of 8Xamin8Z??J;(2)
that the requiPements of that State, Ter~i-
torg, OP Dlstrlct of Col.wbl~a are not less
than thOS8 requlPed by this Act as a oondl-
tion pr8cedent to the Issue of a oertlfloat8;
gA3tithe board of examinera In that State,
, or District of Columbia grants
like exemption from 8XsminOtiOn in the basic
soieW8S t0 persons holdlng 08PtifiOOt8S fPOm
the Stat8 Board of Examiners in the Basic
Hon. Henry B. Hard&page 7 (v-988)
&3i8W8S in Texas; (4) that the applicant
ahow satisfactory proof that he la a oltl-
Len of the United States; and (5) that the
applicant is a person of good moPa charao-
tar and the holder of an unoancelled basic
soi8na8 oePtificat8 f~ola Onoth8r State, Ter-
ritorg, or the Mstrict of Columbia.'"
A~tioles 4500 and 4501, V.C.S., which are a
pert of the H8dlcOl Practioe Act of 1939, pPovid8 in
paPt as follows:
‘AA. ,450O.
"The Stat8 Board of Hedioal Examiners
may, in its disclletion, upon payment by an
applioant of a fee of Fifty Dollars ($50),
gPant license to ppactice medioina to any
reputable physioian who is a citizen of the
United StOtOS, and a graduate of a Peputable
medical 00118g8, or who has quOlifl8d on ex-
aminatlon for a c8rtificat8 of q 8dicOl qnal-
ifioation for a commission in the Medical
Corps of the United States Army or Havy, and
t0 liC8Qtiat8S Of oth8P 8tOt8S Or 'P8PPitOri8s
having requFrements for medical Ileglstration
and praotioe equal to those established by
the laws of this State. . . .n
"Art. 4501.
"All epplloants for lloense to practice
m8dloine in this State not othervise lioens-
ad undeP the proviSiOQs of 16W must suooess-
fully pass an examination by the Board of
lIedica1 Examiners. The Board Is authoPiz8d
to adopt and ~IL~oPc~,PII~~Sof prOO8duP8 QOt
inoonalstent with th8 statutory P8quirem8nts.
Applicants t0 be eligible fOP 8XarPinOtlOQ
must . * * have completed sixty (60) semester
hours of College OOUPS8, other than iQ 6 m8d-
foal aohool, whloh courses would b8 acceptable,
at tLm8 of aompleting same, to the Univ8raity
of Texas for credit on a Bachelor of Arts De-
gree or a Bachelor of Sol8noe Degree, + . .v
FPWI th8 above it Is OppOP8Qt that 88CtioQ 7
of House Bill 103 ~8quires as a preP8quisite fop taking
the Baslo Sclenee examination the oazpletion of silty
HOU. Henry B. Bardt, page 8 (v-988)
(60) semester hours
. ._of college oourses which would be
ecoeptable at the time of oompletlng same at the Univer-
sltg of Texas on a Bachelor of Arts or Science degree.
It Is also expressly provided la Seotlon 25 of House
Bill 103 that it is not to be construed as repealing any
statutory provision in force at the time of Its passage
relative to the requirements governing the issuance of
lloenses to practice the healing arts. Therefore the
requirement of House Bill 103 with referenoe to a oerti-
Sioate of proficienoy in the basic sciences is an addi-
tlonal requirement to those imposed by the Medical
Practice Act of 1939, and the two Aots are not in oon-
rllct. This exact noint was raised and decided in
Stroud v. Crow, 136-s.w.2d 1025 (Ark.Sup. 1940, app.
firn’d 311 U.S. 607, 1940) nheretn the Court said:
“The Basic gciences Aot of 1929 does not
repeal, amend or modify any preexisting law
reletins to examination of annlicants to nrao-
Moe th: healing art, but is-‘anyadditlonai re-
quirement. as prerequlslte to be complied with
before taking such examinations. These laws
remain Ln full force and effect, but with the
superimposed requirements of said Act.” (Em-
has.15 added. )
As to whether an applicant SOP an examlnatfon
in the basic sciences is entitled to an exemption, efth-
er by way of reciprocity or otherwise, is a matter SOP
the Board to decide, and such determination is its re-
You are therefore advised in auswer to your
fourth question that House Bill 103 imposes an addltlon-
al requirement to those imposed by the Hedioal Practice
Aot of 1939, and such additional requirement must be
oomplied with before taking an examination to practice
the healing arts. All applicants not meeting the re-.
quirements of House .Blll 103 (Basic Scienae Law), and
not otherwise exempt therefrom~, are InelIgible to take
the examination SOP license to practice the healing arts.
Our answer to your fourth question makes it
unnecessary to answer your fifth question.
Attorney General Opinion Ho. V-895, referred
to in your sixth question, states that House Bill 103
does oontaln a valid ap ropriation for a period of two
years beginning April 2 f;, 1949, and ending April 27,
EIcm. 3enry B. Rardt, page 9 (v-988)
1951. Therefore, to have continuous operational funds
It vlll be necessary for the Board of Basic Science Rx-
aminers to obtain a supplementary appropriation for the
latter part of the two-year normal biennium of Septem-
ber 1, lH9, to August 31, 1951, that Is, from April 27,
1951 to &gust 31, 1951.
A chiropractor beginning the aotloe
0s ohlropraotIo after April 18, 19r 9, must ob-
tain a oertifioate of proflolency in the Basic
Solenixes. A chiro rector beginning practice.
after dpTi1 28, 19%8, and prior to ~ppil 18,
1949, must obtain a certificate of profioien-
oy Fn the Be810 Solenoes, but the provisions
OS H.B. 721, Acts 51st Leg., R.S. 199, oh.
9, p.160, exempt such a ohlropraotor from
an examination to preotlce ohlropractic. The
p~ovlsiona of B.B. 103, Acts 51st Leg. R.S.
1949, ah.95, p.170, (Basic Science Lawj~ do
not apply to a ohlr,opractor who is a graclu-
ate of a regularly organized chiropractla
school who has prectioed ahiropractlo ~Sor one
year &msedietely preceding April 28, 1949,
and who has resided in Texas for two years
lsssedlntely preceding such date.
411 students engaged in the study of
chiropractic in lnstltutlons regularly or-
ganized and conducted a8 chlropractlo schools
QB April 27, 1919, the effective date of R.B.
721, Acts 51st Leg., B.S. 1949, ch.9, p.160,
are exempt Prom an examlnetion sop license
to practioe ohiropraotic but must obtain a
osrtirioate of proficiency In the Basic
ScIencea except es exempted under Seotlon
2% of House Bill 915, Acts 518t Leg., B.S.
1949, oh.281, p.522.
The Basic Science Law (H.B. 103) does
not repeal the Mediaal Practloe Act of 1939
but imposes an additional requirement to be
complied with before taking an examination
to practice the heali arts. stnoud V.
w 136 S.V.2d 1025 Y Ark. Sup. 194U).
For oontinuous operations of the Board
Hon. Henry B. Hardt, page 10 (v-988)
or Examiners in the Basio Scienoes after
April 27, 1951, a supplementary spproprla-
tion will be necessary,
APPROVRD: , Yours very truly,
J. c. Davis, Jr. PRICE DARIRL
county Affairs Divb3ion Attorney General
Charles D. Mathews
Executive Assistant
Burnell Waldrep
BW:bh:mw Assistant